_Work order_
Return only the last part of the contents further down, starting with the line that has "0.000 0.341".
_Contents_
Here is an optimized crystal structure of MgAl8Ni4 from the Alexandria database. Energies are from GGA-PBE.

Computed properties:
* VASP energy: -4.649 eV/atom
* ΔH_f (0 K): -0.4443 eV/atom

Structure (CIF):
```
data_MgAl8Ni4
_symmetry_space_group_name_H-M 'I 4/m m m'
_symmetry_Int_Tables_number 139
_symmetry_space_group_name_Hall '-I 4 2'
_cell_length_a 8.508
_cell_length_b 8.508
_cell_length_c 5.099
_cell_angle_alpha 90.00
_cell_angle_beta 90.00
_cell_angle_gamma 90.00
loop_
_atom_site_label
_atom_site_type_symbol
_atom_site_fract_x
_atom_site_fract_y
_atom_site_fract_z
_atom_site_occupancy
Mg1 Mg 0.000 0.000 0.000 1
Al1 Al 0.000 0.222 0.500 1
Al2 Al 0.000 0.341 0.000 1
Ni1 Ni 0.250 0.250 0.250 1
```

---

Here is an optimized crystal structure of Tm5Sc4In2 from the Alexandria database. Energies are from GGA-PBE.

Computed properties:
* VASP energy: -4.747 eV/atom
* ΔH_f (0 K): 0.0858 eV/atom

Structure (CIF):
```
data_Tm5Sc4In2
_symmetry_space_group_name_H-M 'I m m m'
_symmetry_Int_Tables_number 71
_symmetry_space_group_name_Hall '-I 2 2'
_cell_length_a 3.315
_cell_length_b 8.568
_cell_length_c 21.651
_cell_angle_alpha 90.00
_cell_angle_beta 90.00
_cell_angle_gamma 90.00
loop_
_atom_site_label
_atom_site_type_symbol
_atom_site_fract_x
_atom_site_fract_y
_atom_site_fract_z
_atom_site_occupancy
Tm1 Tm 0.000 0.000 0.000 1
Tm2 Tm 0.000 0.297 0.357 1
Sc1 Sc 0.000 0.177 0.500 1
Sc2 Sc 0.000 0.500 0.232 1
In1 In 0.000 0.500 0.098 1
```

---

Here is an optimized crystal structure of Rb3NbTe from the Alexandria database. Energies are from GGA-PBE.

Computed properties:
* VASP energy: -2.386 eV/atom

Structure (CIF):
```
data_Rb3NbTe
_symmetry_space_group_name_H-M 'P m -3 m'
_symmetry_Int_Tables_number 221
_symmetry_space_group_name_Hall '-P 4 2 3'
_cell_length_a 6.534
_cell_length_b 6.534
_cell_length_c 6.534
_cell_angle_alpha 90.00
_cell_angle_beta 90.00
_cell_angle_gamma 90.00
loop_
_atom_site_label
_atom_site_type_symbol
_atom_site_fract_x
_atom_site_fract_y
_atom_site_fract_z
_atom_site_occupancy
Rb1 Rb 0.000 0.000 0.500 1
Nb1 Nb 0.000 0.000 0.000 1
Te1 Te 0.500 0.500 0.500 1
```


<1>
Dy5Y2Tm12 | PBE-GGA | optimized geometry

- DOS at the Fermi energy: 1.4980 states/eV/atom

a = 9.0500 Å, b = 9.0500 Å, c = 8.4141 Å
α = 90.87°, β = 90.87°, γ = 60.45°
Last column: nearest neighbours and their distance in Å.
Fractional coordinates of all 19 atoms:
Dy: 0.0000 0.0000 0.0000  10 Tm 3.53-3.67, 2 Dy 3.69
Dy: 0.2332 0.2332 0.0753  10 Tm 3.34-3.69, 2 Dy 3.65-3.69
Dy: 0.3013 0.3013 0.4918  8 Tm 3.36-3.59, 2 Y 3.52, 1 Dy 3.65
Dy: 0.6987 0.6987 0.5082  8 Tm 3.36-3.59, 2 Y 3.52, 1 Dy 3.65
Dy: 0.7668 0.7668 0.9247  10 Tm 3.34-3.69, 2 Dy 3.65-3.69
Y: 0.3189 0.6811 0.5000  1 Y 3.30, 8 Tm 3.36-3.52, 2 Dy 3.52
Y: 0.6811 0.3189 0.5000  1 Y 3.30, 8 Tm 3.36-3.52, 2 Dy 3.52
Tm: 0.0260 0.6624 0.2539  5 Tm 3.31-3.69, 1 Y 3.41, 5 Dy 3.43-3.69
Tm: 0.0929 0.0929 0.3855  3 Dy 3.36-3.53, 2 Y 3.40, 5 Tm 3.44-3.58
Tm: 0.1810 0.5656 0.8409  4 Dy 3.34-3.67, 6 Tm 3.37-3.69, 1 Y 3.52
Tm: 0.3376 0.9740 0.7461  5 Tm 3.31-3.69, 1 Y 3.41, 5 Dy 3.43-3.69
Tm: 0.4344 0.8190 0.1591  4 Dy 3.34-3.67, 6 Tm 3.37-3.69, 1 Y 3.52
Tm: 0.4430 0.4430 0.1666  7 Tm 3.35-3.41, 2 Dy 3.36-3.55, 2 Y 3.36
Tm: 0.5570 0.5570 0.8334  7 Tm 3.35-3.41, 2 Dy 3.36-3.55, 2 Y 3.36
Tm: 0.5656 0.1810 0.8409  4 Dy 3.34-3.67, 6 Tm 3.37-3.69, 1 Y 3.52
Tm: 0.6624 0.0260 0.2539  5 Tm 3.31-3.69, 1 Y 3.41, 5 Dy 3.43-3.69
Tm: 0.8190 0.4344 0.1591  4 Dy 3.34-3.67, 6 Tm 3.37-3.69, 1 Y 3.52
Tm: 0.9071 0.9071 0.6145  3 Dy 3.36-3.53, 2 Y 3.40, 5 Tm 3.44-3.58
Tm: 0.9740 0.3376 0.7461  5 Tm 3.31-3.69, 1 Y 3.41, 5 Dy 3.43-3.69

=====

<2>
Dy5Y2Tm12 | PBE-GGA | optimized geometry

- DOS at the Fermi energy: 1.4106 states/eV/atom

a = 6.0816 Å, b = 9.2932 Å, c = 10.5332 Å
α = 100.99°, β = 95.61°, γ = 90.08°
Last column: nearest neighbours and their distance in Å.
Fractional coordinates of all 19 atoms:
Dy: 0.0000 0.0000 0.0000  10 Tm 3.50-3.51, 2 Dy 3.51
Dy: 0.1581 0.6320 0.9475  10 Tm 3.50-3.52, 2 Dy 3.51-3.52
_Response_
Al2 Al 0.000 0.341 0.000 1
Ni1 Ni 0.250 0.250 0.250 1
```

---

Here is an optimized crystal structure of Tm5Sc4In2 from the Alexandria database. Energies are from GGA-PBE.

Computed properties:
* VASP energy: -4.747 eV/atom
* ΔH_f (0 K): 0.0858 eV/atom

Structure (CIF):
```
data_Tm5Sc4In2
_symmetry_space_group_name_H-M 'I m m m'
_symmetry_Int_Tables_number 71
_symmetry_space_group_name_Hall '-I 2 2'
_cell_length_a 3.315
_cell_length_b 8.568
_cell_length_c 21.651
_cell_angle_alpha 90.00
_cell_angle_beta 90.00
_cell_angle_gamma 90.00
loop_
_atom_site_label
_atom_site_type_symbol
_atom_site_fract_x
_atom_site_fract_y
_atom_site_fract_z
_atom_site_occupancy
Tm1 Tm 0.000 0.000 0.000 1
Tm2 Tm 0.000 0.297 0.357 1
Sc1 Sc 0.000 0.177 0.500 1
Sc2 Sc 0.000 0.500 0.232 1
In1 In 0.000 0.500 0.098 1
```

---

Here is an optimized crystal structure of Rb3NbTe from the Alexandria database. Energies are from GGA-PBE.

Computed properties:
* VASP energy: -2.386 eV/atom

Structure (CIF):
```
data_Rb3NbTe
_symmetry_space_group_name_H-M 'P m -3 m'
_symmetry_Int_Tables_number 221
_symmetry_space_group_name_Hall '-P 4 2 3'
_cell_length_a 6.534
_cell_length_b 6.534
_cell_length_c 6.534
_cell_angle_alpha 90.00
_cell_angle_beta 90.00
_cell_angle_gamma 90.00
loop_
_atom_site_label
_atom_site_type_symbol
_atom_site_fract_x
_atom_site_fract_y
_atom_site_fract_z
_atom_site_occupancy
Rb1 Rb 0.000 0.000 0.500 1
Nb1 Nb 0.000 0.000 0.000 1
Te1 Te 0.500 0.500 0.500 1
```


<1>
Dy5Y2Tm12 | PBE-GGA | optimized geometry

- DOS at the Fermi energy: 1.4980 states/eV/atom

a = 9.0500 Å, b = 9.0500 Å, c = 8.4141 Å
α = 90.87°, β = 90.87°, γ = 60.45°
Last column: nearest neighbours and their distance in Å.
Fractional coordinates of all 19 atoms:
Dy: 0.0000 0.0000 0.0000  10 Tm 3.53-3.67, 2 Dy 3.69
Dy: 0.2332 0.2332 0.0753  10 Tm 3.34-3.69, 2 Dy 3.65-3.69
Dy: 0.3013 0.3013 0.4918  8 Tm 3.36-3.59, 2 Y 3.52, 1 Dy 3.65
Dy: 0.6987 0.6987 0.5082  8 Tm 3.36-3.59, 2 Y 3.52, 1 Dy 3.65
Dy: 0.7668 0.7668 0.9247  10 Tm 3.34-3.69, 2 Dy 3.65-3.69
Y: 0.3189 0.6811 0.5000  1 Y 3.30, 8 Tm 3.36-3.52, 2 Dy 3.52
Y: 0.6811 0.3189 0.5000  1 Y 3.30, 8 Tm 3.36-3.52, 2 Dy 3.52
Tm: 0.0260 0.6624 0.2539  5 Tm 3.31-3.69, 1 Y 3.41, 5 Dy 3.43-3.69
Tm: 0.0929 0.0929 0.3855  3 Dy 3.36-3.53, 2 Y 3.40, 5 Tm 3.44-3.58
Tm: 0.1810 0.5656 0.8409  4 Dy 3.34-3.67, 6 Tm 3.37-3.69, 1 Y 3.52
Tm: 0.3376 0.9740 0.7461  5 Tm 3.31-3.69, 1 Y 3.41, 5 Dy 3.43-3.69
Tm: 0.4344 0.8190 0.1591  4 Dy 3.34-3.67, 6 Tm 3.37-3.69, 1 Y 3.52
Tm: 0.4430 0.4430 0.1666  7 Tm 3.35-3.41, 2 Dy 3.36-3.55, 2 Y 3.36
Tm: 0.5570 0.5570 0.8334  7 Tm 3.35-3.41, 2 Dy 3.36-3.55, 2 Y 3.36
Tm: 0.5656 0.1810 0.8409  4 Dy 3.34-3.67, 6 Tm 3.37-3.69, 1 Y 3.52
Tm: 0.6624 0.0260 0.2539  5 Tm 3.31-3.69, 1 Y 3.41, 5 Dy 3.43-3.69
Tm: 0.8190 0.4344 0.1591  4 Dy 3.34-3.67, 6 Tm 3.37-3.69, 1 Y 3.52
Tm: 0.9071 0.9071 0.6145  3 Dy 3.36-3.53, 2 Y 3.40, 5 Tm 3.44-3.58
Tm: 0.9740 0.3376 0.7461  5 Tm 3.31-3.69, 1 Y 3.41, 5 Dy 3.43-3.69

=====

<2>
Dy5Y2Tm12 | PBE-GGA | optimized geometry

- DOS at the Fermi energy: 1.4106 states/eV/atom

a = 6.0816 Å, b = 9.2932 Å, c = 10.5332 Å
α = 100.99°, β = 95.61°, γ = 90.08°
Last column: nearest neighbours and their distance in Å.
Fractional coordinates of all 19 atoms:
Dy: 0.0000 0.0000 0.0000  10 Tm 3.50-3.51, 2 Dy 3.51
Dy: 0.1581 0.6320 0.9475  10 Tm 3.50-3.52, 2 Dy 3.51-3.52